[Input]
<<<
{"formula": "Tm4Ru3Au", "functional": "PBE", "state": "optimized geometry", "density_g_cm3": 12.4, "formation_enthalpy_0k_ev_per_atom": -0.5695, "e_tot_ev_per_atom": -6.693, "lattice": [[-0.428, -2.281, 4.192], [1.596, -5.915, -3.055], [9.281, 1.573, 1.804]], "species": ["Ru", "Ru", "Tm", "Tm", "Ru", "Tm", "Au", "Au", "Ru", "Ru", "Tm", "Tm", "Ru", "Tm", "Tm", "Tm"], "frac_coords": [[0.500, 0.500, 0.250], [0.500, 0.000, 0.250], [0.500, 0.240, 0.500], [0.000, 0.760, 0.750], [0.000, 0.000, 0.500], [0.500, 0.760, 0.500], [0.000, 0.500, 0.500], [0.000, 0.500, 0.000], [0.000, 0.000, 0.000], [0.500, 0.000, 0.750], [0.000, 0.760, 0.250], [0.000, 0.240, 0.250], [0.500, 0.500, 0.750], [0.500, 0.240, 0.000], [0.500, 0.760, 0.000], [0.000, 0.240, 0.750]]}


# Ba2Ga2Sn | Alexandria via LeMat-Bulk | PBE-GGA | relaxed
# - total magnetic moment (μB/cell) = 0.00
# - DFT formation energy (eV per atom) = -0.391
# - DOS at the Fermi energy (states/eV per atom) = 0.757
# - ΔE to the lowest computed polymorph (meV/atom) = 95
data_Ba2Ga2Sn
_chemical_formula_sum 'Ba4 Ga4 Sn2'
_cell_length_a 5.032
_cell_length_b 4.496
_cell_length_c 14.810
_cell_angle_alpha 90.00
_cell_angle_beta 90.00
_cell_angle_gamma 90.00
_space_group_name_H-M_alt 'A m m 2'
_space_group_IT_number 38
loop_
_space_group_symop_operation_xyz
'x,y,z'
'-x,-y,z'
'-x,y,z'
'x,-y,z'
'x,y+1/2,z+1/2'
'-x,-y+1/2,z+1/2'
'-x,y+1/2,z+1/2'
'x,-y+1/2,z+1/2'
loop_
_atom_site_label
_atom_site_type_symbol
_atom_site_fract_x
_atom_site_fract_y
_atom_site_fract_z
Ba1 Ba 0.000 0.000 0.000
Ba2 Ba 0.000 0.000 0.244
Ga1 Ga 0.500 0.000 0.431
Ga2 Ga 0.500 0.000 0.614
Sn1 Sn 0.500 0.000 0.822


Here is an optimized crystal structure of Mg2ScInN from Alexandria. Energies are from GGA-PBE.

a b c (Å): 5.7996 5.7996 5.6821
angles (deg): 90.00 90.00 90.00
Fractional positions:
Mg: 0.0000 0.5000 0.0000
Mg: 0.5000 0.0000 0.0000
Sc: 0.0000 0.0000 0.0000
In: 0.0000 0.0000 0.5000
N: 0.5000 0.5000 0.5000

## Properties
The value obtained for the calculated density is 1.9 g/cm³. The value obtained for the uncorrected formation energy is 1.93 eV per atom.


This record from the Alexandria database describes crystalline InCoIr at its relaxed geometry. The functional is PBE.

a = 4.1727 Å, b = 4.1727 Å, c = 4.1727 Å
α = 60.00°, β = 60.00°, γ = 60.00°
Closest atoms and distances in Å follow each position.
Element x y z (fractional)
In 0.0000 0.0000 0.0000  4 Co 2.56
Co 0.7500 0.7500 0.7500  4 In 2.56, 4 Ir 2.56
Ir 0.5000 0.5000 0.5000  4 Co 2.56

## Properties
For the relative energy among the computed polymorphs, the calculation gives 126 meV per atom. The symmetry is F-43m. Its volume is 17.12 Å³/atom. Its total DFT energy (no corrections) is -5.983 eV/atom. The energy of formation from the pure elements comes out at 5.8 kcal/mol of atoms.

---

This record from the Alexandria database describes crystalline In2CoIr at its relaxed geometry. The functional is PBE.

a = 5.1821 Å, b = 5.1821 Å, c = 5.1821 Å
α = 135.51°, β = 135.51°, γ = 64.74°
Closest atoms and distances in Å follow each position.
Element x y z (fractional)
In 0.0000 0.0000 0.0000  4 Co 2.77, 4 In 2.94, 4 Ir 2.94
In 0.7500 0.2500 0.5000  4 Ir 2.77, 4 In 2.94, 4 Co 2.94
Co 0.5000 0.5000 0.0000  8 In 2.77-2.94, 4 Ir 2.94
Ir 0.2500 0.7500 0.5000  8 In 2.77-2.94, 4 Co 2.94

## Properties
The symmetry is I-4m2. Its volume is 16.85 Å³/atom. Its total DFT energy (no corrections) is -5.179 eV/atom. The energy of formation from the pure elements comes out at 4.2 kcal/mol of atoms.

---

This record from the Alexandria database describes crystalline In2CoIr at its relaxed geometry. The functional is PBE.

a = 8.5613 Å, b = 8.5613 Å, c = 8.5613 Å
α = 20.61°, β = 20.61°, γ = 20.61°
Closest atoms and distances in Å follow each position.
Element x y z (fractional)
In 0.2470 0.2470 0.2470  3 Co 2.68, 3 Ir 2.80
In 0.7530 0.7530 0.7530  3 Co 2.68, 3 Ir 2.80
Co 0.5000 0.5000 0.5000  6 In 2.68
Ir 0.0000 0.0000 0.0000  6 In 2.80, 6 Ir 3.06

## Properties
>>>

[To do]
Duplicate only the lines further above with the word "total" in them.

[Worked solution]
# - total magnetic moment (μB/cell) = 0.00
For the relative energy among the computed polymorphs, the calculation gives 126 meV per atom. The symmetry is F-43m. Its volume is 17.12 Å³/atom. Its total DFT energy (no corrections) is -5.983 eV/atom. The energy of formation from the pure elements comes out at 5.8 kcal/mol of atoms.
The symmetry is I-4m2. Its volume is 16.85 Å³/atom. Its total DFT energy (no corrections) is -5.179 eV/atom. The energy of formation from the pure elements comes out at 4.2 kcal/mol of atoms.